Input:
No. 1
The following is a theoretical powder X-ray diffraction pattern of HoLu2Hg. It was derived from the GGA-PBE geometry in OQMD, using λ = 1.5418 Å (Cu Kα).

Structure:
```
data_HoLu2Hg
_space_group_name_H-M_alt 'A m a 2'
_space_group_IT_number 40
_cell_length_a 5.543
_cell_length_b 11.238
_cell_length_c 6.958
_cell_angle_alpha 90.00
_cell_angle_beta 90.00
_cell_angle_gamma 90.00
loop_
_space_group_symop_operation_xyz
'x,y,z'
'-x,-y,z'
'-x+1/2,y,z'
'x+1/2,-y,z'
'x,y+1/2,z+1/2'
'-x,-y+1/2,z+1/2'
'-x+1/2,y+1/2,z+1/2'
'x+1/2,-y+1/2,z+1/2'
loop_
_atom_site_label
_atom_site_type_symbol
_atom_site_fract_x
_atom_site_fract_y
_atom_site_fract_z
Ho1 Ho 0.250 0.120 0.000
Lu1 Lu 0.250 0.161 0.517
Lu2 Lu 0.250 0.404 0.794
Hg1 Hg 0.250 0.373 0.251
```

Largest 10 diffraction maxima, in order of rising 2θ, 2θ from 10° to 80°:
d (Å)  Position (°2θ)  I/Imax
2.834  31.56  7
2.809  31.85  25
2.771  32.30  34
2.610  34.37  100
1.973  46.00  19
1.739  52.61  7
1.581  58.38  11
1.567  58.94  22
1.473  63.10  8
1.305  72.43  9

No. 2
The following is a theoretical powder X-ray diffraction pattern of ErTlP2Se6. It was derived from the GGA-PBE geometry in OQMD, using λ = 1.5418 Å (Cu Kα).

Structure:
```
data_ErTlP2Se6
_space_group_name_H-M_alt 'P 1 21 1'
_space_group_IT_number 4
_cell_length_a 6.821
_cell_length_b 7.594
_cell_length_c 10.504
_cell_angle_alpha 90.00
_cell_angle_beta 91.49
_cell_angle_gamma 90.00
loop_
_space_group_symop_operation_xyz
'x,y,z'
'-x,y+1/2,-z'
loop_
_atom_site_label
_atom_site_type_symbol
_atom_site_fract_x
_atom_site_fract_y
_atom_site_fract_z
Er1 Er 0.216 0.000 0.002
Tl1 Tl 0.319 0.777 0.508
P1 P 0.190 0.269 0.290
P2 P 0.316 0.488 0.171
Se1 Se 0.068 0.691 0.836
Se2 Se 0.076 0.689 0.164
Se3 Se 0.152 0.363 0.481
Se4 Se 0.376 0.359 0.983
Se5 Se 0.399 0.053 0.264
Se6 Se 0.404 0.084 0.748
```

Largest 10 diffraction maxima, in order of rising 2θ, 2θ from 10° to 80°:
d (Å)  Position (°2θ)  I/Imax
5.250  16.89  62
3.571  24.94  97
3.077  29.02  96
3.002  29.77  68
2.963  30.16  100
2.907  30.75  63
2.823  31.70  75
2.625  34.16  66
2.574  34.86  72
2.477  36.26  62

=====

Theoretical powder X-ray diffraction pattern
Compound: Cs12BiO3
Radiation: λ = 1.5418 Å (Cu Kα)
Structure: the GGA-PBE geometry in Alexandria
Intensities are scaled so that the largest is 100.

Atomic structure:
```
Cs12BiO3
1.0
16.133 0.000 0.000
-8.067 13.972 0.000
0.000 0.000 10.200
Cs Bi O
24 2 6
Direct
0.019 0.816 0.250
0.027 0.486 0.750
0.184 0.203 0.250
0.203 0.019 0.750
0.206 0.756 0.031
0.206 0.756 0.469
0.244 0.450 0.031
0.244 0.450 0.469
0.450 0.206 0.531
0.450 0.206 0.969
0.459 0.973 0.750
0.486 0.459 0.250
0.514 0.541 0.750
0.541 0.027 0.250
0.550 0.794 0.031
0.550 0.794 0.469
0.756 0.550 0.531
0.756 0.550 0.969
0.794 0.244 0.531
0.794 0.244 0.969
0.797 0.981 0.250
0.816 0.797 0.750
0.973 0.514 0.250
0.981 0.184 0.750
0.333 0.667 0.750
0.667 0.333 0.250
0.093 0.703 0.250
0.297 0.390 0.250
0.390 0.093 0.750
0.610 0.907 0.250
0.703 0.610 0.750
0.907 0.297 0.750
```

Most intense lines, 2θ = 10–90°, sorted by position:
d [Å]	I (rel.)	h k l
6.327	27	1 1 1
5.764	23	2 0 1
4.119	22	2 0 2
3.875	29	1 3 0
3.669	100	2 1 2
3.622	30	1 3 1
3.493	22	4 0 0
3.054	17	1 4 0
2.553	26	0 0 4
2.332	16	2 3 3

=====

No. 1
Structure and calculated powder XRD pattern of Mg16Al12Ir (DFT lattice parameters and positions (GGA-PBE); λ = 1.5418 Å (Cu Kα)).

Top 10 peaks for 5° ≤ 2θ ≤ 70°, sorted by position:
2θ = 11.83°, rel. 92; 2θ = 12.13°, rel. 100; 2θ = 20.38°, rel. 35; 2θ = 20.91°, rel. 40; 2θ = 34.33°, rel. 40; 2θ = 36.01°, rel. 41; 2θ = 36.85°, rel. 61; 2θ = 40.92°, rel. 38; 2θ = 43.97°, rel. 41; 2θ = 65.50°, rel. 35

Structural model:
Lattice parameters (Å, degrees): 8.9777 8.9777 8.9777 108.77 108.77 108.77
Atoms (fractional coordinates):
Mg: 0.0000 0.0000 0.0000
Mg: 0.0185 0.0185 0.6624
Mg: 0.0185 0.6624 0.0185
Mg: 0.0257 0.4242 0.6968
Mg: 0.0257 0.6968 0.4242
Mg: 0.3303 0.5784 0.5784
Mg: 0.3339 0.3339 0.7450
Mg: 0.3339 0.7450 0.3339
Mg: 0.4242 0.0257 0.6968

Exercise:
Could you restate the rows above without additions?

Outcome:
No. 1
The following is a theoretical powder X-ray diffraction pattern of HoLu2Hg. It was derived from the GGA-PBE geometry in OQMD, using λ = 1.5418 Å (Cu Kα).

Structure:
```
data_HoLu2Hg
_space_group_name_H-M_alt 'A m a 2'
_space_group_IT_number 40
_cell_length_a 5.543
_cell_length_b 11.238
_cell_length_c 6.958
_cell_angle_alpha 90.00
_cell_angle_beta 90.00
_cell_angle_gamma 90.00
loop_
_space_group_symop_operation_xyz
'x,y,z'
'-x,-y,z'
'-x+1/2,y,z'
'x+1/2,-y,z'
'x,y+1/2,z+1/2'
'-x,-y+1/2,z+1/2'
'-x+1/2,y+1/2,z+1/2'
'x+1/2,-y+1/2,z+1/2'
loop_
_atom_site_label
_atom_site_type_symbol
_atom_site_fract_x
_atom_site_fract_y
_atom_site_fract_z
Ho1 Ho 0.250 0.120 0.000
Lu1 Lu 0.250 0.161 0.517
Lu2 Lu 0.250 0.404 0.794
Hg1 Hg 0.250 0.373 0.251
```

Largest 10 diffraction maxima, in order of rising 2θ, 2θ from 10° to 80°:
d (Å)  Position (°2θ)  I/Imax
2.834  31.56  7
2.809  31.85  25
2.771  32.30  34
2.610  34.37  100
1.973  46.00  19
1.739  52.61  7
1.581  58.38  11
1.567  58.94  22
1.473  63.10  8
1.305  72.43  9

No. 2
The following is a theoretical powder X-ray diffraction pattern of ErTlP2Se6. It was derived from the GGA-PBE geometry in OQMD, using λ = 1.5418 Å (Cu Kα).

Structure:
```
data_ErTlP2Se6
_space_group_name_H-M_alt 'P 1 21 1'
_space_group_IT_number 4
_cell_length_a 6.821
_cell_length_b 7.594
_cell_length_c 10.504
_cell_angle_alpha 90.00
_cell_angle_beta 91.49
_cell_angle_gamma 90.00
loop_
_space_group_symop_operation_xyz
'x,y,z'
'-x,y+1/2,-z'
loop_
_atom_site_label
_atom_site_type_symbol
_atom_site_fract_x
_atom_site_fract_y
_atom_site_fract_z
Er1 Er 0.216 0.000 0.002
Tl1 Tl 0.319 0.777 0.508
P1 P 0.190 0.269 0.290
P2 P 0.316 0.488 0.171
Se1 Se 0.068 0.691 0.836
Se2 Se 0.076 0.689 0.164
Se3 Se 0.152 0.363 0.481
Se4 Se 0.376 0.359 0.983
Se5 Se 0.399 0.053 0.264
Se6 Se 0.404 0.084 0.748
```

Largest 10 diffraction maxima, in order of rising 2θ, 2θ from 10° to 80°:
d (Å)  Position (°2θ)  I/Imax
5.250  16.89  62
3.571  24.94  97
3.077  29.02  96
3.002  29.77  68
2.963  30.16  100
2.907  30.75  63
2.823  31.70  75
2.625  34.16  66
2.574  34.86  72
2.477  36.26  62

=====

Theoretical powder X-ray diffraction pattern
Compound: Cs12BiO3
Radiation: λ = 1.5418 Å (Cu Kα)
Structure: the GGA-PBE geometry in Alexandria
Intensities are scaled so that the largest is 100.

Atomic structure:
```
Cs12BiO3
1.0
16.133 0.000 0.000
-8.067 13.972 0.000
0.000 0.000 10.200
Cs Bi O
24 2 6
Direct
0.019 0.816 0.250
0.027 0.486 0.750
0.184 0.203 0.250
0.203 0.019 0.750
0.206 0.756 0.031
0.206 0.756 0.469
0.244 0.450 0.031
0.244 0.450 0.469
0.450 0.206 0.531
0.450 0.206 0.969
0.459 0.973 0.750
0.486 0.459 0.250
0.514 0.541 0.750
0.541 0.027 0.250
0.550 0.794 0.031
0.550 0.794 0.469
0.756 0.550 0.531
0.756 0.550 0.969
0.794 0.244 0.531
0.794 0.244 0.969
0.797 0.981 0.250
0.816 0.797 0.750
0.973 0.514 0.250
0.981 0.184 0.750
0.333 0.667 0.750
0.667 0.333 0.250
0.093 0.703 0.250
0.297 0.390 0.250
0.390 0.093 0.750
0.610 0.907 0.250
0.703 0.610 0.750
0.907 0.297 0.750
```

Most intense lines, 2θ = 10–90°, sorted by position:
d [Å]	I (rel.)	h k l
6.327	27	1 1 1
5.764	23	2 0 1
4.119	22	2 0 2
3.875	29	1 3 0
3.669	100	2 1 2
3.622	30	1 3 1
3.493	22	4 0 0
3.054	17	1 4 0
2.553	26	0 0 4
2.332	16	2 3 3

=====

No. 1
Structure and calculated powder XRD pattern of Mg16Al12Ir (DFT lattice parameters and positions (GGA-PBE); λ = 1.5418 Å (Cu Kα)).

Top 10 peaks for 5° ≤ 2θ ≤ 70°, sorted by position:
2θ = 11.83°, rel. 92; 2θ = 12.13°, rel. 100; 2θ = 20.38°, rel. 35; 2θ = 20.91°, rel. 40; 2θ = 34.33°, rel. 40; 2θ = 36.01°, rel. 41; 2θ = 36.85°, rel. 61; 2θ = 40.92°, rel. 38; 2θ = 43.97°, rel. 41; 2θ = 65.50°, rel. 35

Structural model:
Lattice parameters (Å, degrees): 8.9777 8.9777 8.9777 108.77 108.77 108.77
Atoms (fractional coordinates):
Mg: 0.0000 0.0000 0.0000
Mg: 0.0185 0.0185 0.6624
Mg: 0.0185 0.6624 0.0185
Mg: 0.0257 0.4242 0.6968
Mg: 0.0257 0.6968 0.4242
Mg: 0.3303 0.5784 0.5784
Mg: 0.3339 0.3339 0.7450
Mg: 0.3339 0.7450 0.3339
Mg: 0.4242 0.0257 0.6968